Info-Tech Research Group1 Headline / Subhead Vertical Spacing Info-Tech Research Group, Inc. Is a global leader in providing IT research and advice. Info-Tech’s products and services combine actionable insight and relevant advice with ready-to-use tools and templates that cover the full spectrum of IT concerns. © Info-Tech Research Group Inc. Implement an and Content Archive Solution Match the value of the content with the storage tier. Info-Tech's products and services combine actionable insight and relevant advice with ready-to-use tools and templates that cover the full spectrum of IT concerns.© Info-Tech Research Group
Info-Tech Research Group2 All organizations must meet compliance needs and reduce the impact of content growth on primary storage. Introduction IT professionals involved in evaluating, selecting, and deploying archiving. IT professionals responsible for platform efficiency and supporting end-user restoration requests. Compliance managers responsible for eDiscovery of s and placing legal holds on . This Research Is Designed For:This Research Will Help You: Determine if you need a third-party archiving product or if Exchange Online Archive is sufficient. Build an archive program guide. Evaluate archiving vendors and products for your enterprise needs. Determine which products are most appropriate for particular use cases and scenarios and implement the selected platform.
Info-Tech Research Group3 Executive Summary Archiving for the sake of storage is no longer a prime concern with the advent of cloud and cheap disk. Information organization is now the key archiving consideration. -only archiving products are an expensive luxury item – don't do it. Consolidate all of your content into a single archive and get the appropriate product. Archiving provides three primary compliance and findability benefits: ◦ Storage growth control. ◦ Compliance management. ◦ Information migration from legacy systems to new systems. Exchange Online archiving is more product than most organizations need. It is the most cost effective archiving solution available to organizations that use Exchange. It is included with Exchange online licenses and can be used with Exchange 2010 on-premise. Google Apps users have limited choices beyond Google Vault. 1.The price point for archiving has changed: Exchange Online Archiving/Exchange 2013 brings good-enough archiving for most organizations at a low price point. 2.You get what you pay for with archiving products: Focus on what you need. archiving and journaling is now a table stake. Focus on the file and social content that can be archived to justify the price. 3.Get this into Compliance’s hands: IT should not be performing archiving for the purposes of compliance. If legal and regulatory oversight are prime concerns, focus on usability and eDiscovery tools. Info-Tech Insight
Info-Tech Research Group4 Follow Info-Tech’s content archiving roadmap Storage Mgmt. Information Gov. Find Information in the Enterprise Deploy Effective Information Governance with a Document Source Audit Productivity Build an Annual Storage Strategy in Two Days eDiscovery: Ease Compliance through Repeatable Process Implement an and Content Archive Solution Develop a Backup Software Strategy Reintroduce the Information Lifecycle to the Content Management Strategy Move to the Cloud Catch the Microsoft Office 2013 Productivity Wave
Info-Tech Research Group5 Vendor Landscape: Content and Archiving WCO: Risk Management 1. Risk Scenarios 2. Determine Risk Severity 3. Build the Risk Profile 4. Take Action Towards Risk 5. Report and Communicate Risk Consider content and archiving as part of an overall series of projects Deploy an Effective Information Governance Strategy 1. Build a Project Team. 2. Identify Information Sources. 3. Assess Information Sources. 4. Define a Retention Schedule. 5. Create a Communication Plan. eDiscovery: Compliance through Repeatable Process 1. Define the technology to support eDiscovery 2. Understand Requests 3 Implement a standardized process 4. Custom fit the EDRM process 5. Communicate to stakeholders Information Governance initiatives often identify archiving as a key project to reduce compliance pain. This set is specifically designed to define how to implement an archive solution. Two Days to an Annual Storage Strategy 1.Make the case for a strategic storage strategy 2. Audit your present storage state 3. Build a new strategy 4. Perform a gap analysis 5. Document your strategy 1. Gather the requirements 2. Define the technology needed 3. Assess your current platform 4. Evaluate the vendor options 5. Implement a new solution Implement an and Content Archive Solution
Info-Tech Research Group6 Guided Implementation points in the Archiving project Book a Guided Implementation Today: Info-Tech is just a phone call away and can assist you with your project. Our expert Analysts can guide you to successful project completion. Here are the suggested Guided Implementation points in the Archiving project: Section 1: Build a defensible case for an and content archive strategy Gather the requirements and numbers that you need to build a defendable case for implementing archiving. Section 2: Decide on what technology you need Archiving is a process. Most organizations have such little need for archiving that archive products are not cost effective. Walk through best practices for defining and building a legally defensible archive process. Section 3: Fill in the business case template The use case needs to be important to the business. IT can justify the case on storage gains, as the business won’t buy it without clear costs or value gains. Section 4: Define your number one use case for archiving Choosing the most important use case is critical to appropriately shortlisting vendors. To enroll, send an to or call and ask for the Guided Implementation This symbol signifies when you’ve reached a Guided Implementation point in your project.
Info-Tech Research Group7 IT Competency Do you have: A relationship with your legal team? A completed information sources risk assessment? Develop archive readiness Are you ready for this blueprint? This project requires a combination of storage management and information governance to be successful. Information Governance IT Competency Technology Readiness Information Competency Do you have: A retention and archive plan? An information governance committee? A program manual for information governance? Technological Readiness Do you have: An solution? An upgrade timeline for your system? A roadmap for your storage horizon?
~~~
This record from Alexandria describes a relaxed structure of Cs3Rh2F8. The functional is PBE.

Structure (POSCAR):
```
Cs3Rh2F8
1.0
-2.298 1.252 -6.339
-4.643 -4.166 -2.849
-7.682 3.128 -0.307
Cs Rh F
3 2 8
Direct
0.000 0.000 0.000
0.219 0.219 0.342
0.781 0.781 0.658
0.444 0.444 0.668
0.556 0.556 0.332
0.348 0.348 0.956
0.652 0.652 0.044
0.274 0.784 0.668
0.784 0.274 0.668
0.274 0.274 0.668
0.216 0.726 0.332
0.726 0.216 0.332
0.726 0.726 0.332
```

formation energy from raw total energies: -1902 meV per atom
space-group type: R-3m, No. 166
spin magnetization: 0.385 μB per atom

=====

This record from Alexandria describes a relaxed structure of Ba2AsSe. The functional is PBE.

Structure (POSCAR):
```
Ba2AsSe
1.0
8.559 -0.004 -0.003
7.293 4.480 -0.003
7.293 2.059 3.979
As Ba Se
1 2 1
Direct
0.750 0.750 0.750
0.997 0.997 0.997
0.503 0.503 0.503
0.250 0.250 0.250
```

formation energy from raw total energies: -1371 meV per atom
space-group type: R-3m, No. 166
relative energy among the computed polymorphs: 10.2 meV per atom
spin magnetization: 0.237 μB per atom

~~~~~

# NaTbYTl

A relaxed structure of NaTbYTl (PBE, Alexandria via LeMat-Bulk).

POSCAR file:
```
NaTbYTl
1.0
-2.3601 4.6339 -1.5142
-3.5292 2.4465 3.3008
1.3443 4.6464 2.4372
Tl Na Y Tb
1 1 1 1
Direct
0.2500 0.2500 0.2500 Tl
0.7500 0.7500 0.7500 Na
0.0000 0.0000 0.0000 Y
0.5000 0.5000 0.5000 Tb
```

Values from the calculation:
- Final energy: -3.77 eV/atom
- Calculated formation energy: -0.07 eV/atom
- Crystal system: cubic

# Pb5Cl3F12

A relaxed structure of Pb5Cl3F12 (PBE, Alexandria via LeMat-Bulk).

POSCAR file:
```
Pb5Cl3F12
1.0
-2.1911 11.1391 6.8427
-1.3680 -10.4586 8.0281
12.2978 0.1974 -4.9426
Cl F Pb
12 48 20
Direct
0.3750 0.6250 0.2500 Cl
0.8750 0.7500 0.1250 Cl
0.7500 0.3750 0.1250 Cl
0.2500 0.1250 0.3750 Cl
0.1250 0.2500 0.8750 Cl
0.7500 0.8750 0.6250 Cl
0.8750 0.1250 0.2500 Cl
0.3750 0.7500 0.6250 Cl
0.1250 0.8750 0.7500 Cl
0.6250 0.3750 0.7500 Cl
0.6250 0.2500 0.3750 Cl
0.2500 0.6250 0.8750 Cl
0.4951 0.1683 0.0694 F
0.5989 0.9306 0.4256 F
0.6733 0.5049 0.5744 F
0.1683 0.6733 0.0989 F
0.8317 0.3267 0.9011 F
0.5744 0.0049 0.6733 F
0.9256 0.0989 0.9306 F
0.0049 0.4306 0.3317 F
0.0989 0.1733 0.1683 F
0.4011 0.3317 0.3267 F
0.3267 0.4951 0.4256 F
0.0694 0.6683 0.4951 F
0.5744 0.5694 0.4011 F
0.5694 0.5744 0.9011 F
0.0744 0.9011 0.0694 F
0.4951 0.3267 0.9256 F
0.4011 0.0694 0.5744 F
0.0744 0.1733 0.5049 F
0.9306 0.3317 0.5049 F
0.3317 0.9306 0.0049 F
0.5989 0.6683 0.6733 F
0.1733 0.0989 0.6683 F
0.5049 0.6733 0.0744 F
0.0049 0.5744 0.1733 F
0.0989 0.9256 0.4306 F
0.4256 0.9951 0.3267 F
0.6683 0.5989 0.1733 F
0.3267 0.8317 0.4011 F
0.9951 0.5694 0.6683 F
0.8317 0.5049 0.4306 F
0.1683 0.4951 0.5694 F
0.9011 0.0744 0.5694 F
0.4256 0.4306 0.5989 F
0.1733 0.0744 0.0049 F
0.8267 0.9256 0.9951 F
0.9951 0.4256 0.8267 F
0.5694 0.9951 0.1683 F
0.9256 0.8267 0.4951 F
0.6733 0.1683 0.5989 F
0.4306 0.0049 0.8317 F
0.9306 0.5989 0.9256 F
0.4306 0.4256 0.0989 F
0.5049 0.8317 0.9306 F
~~~
Info-Tech Research Group8 Archiving is not governance archiving has clean measurable gains, but content archiving requires better planning and clear alignment with business goals. Information Governance Enterprise-wide policies Information Organization Application or department specific Use, access, and storage Storage management Enterprise-wide storage control through deletion Archiving Disposition, growth control Specific risk mitigation, findability Archiving can be the driver for better governance, but it cannot replace governance. The key to controlling growth is translating governance policies into management practices. Archiving requires rules and policies for both enterprise-wide rules and managing exceptions to the rule. Is it valuable enough to keep?
Info-Tech Research Group9 IT needs to be forward thinking about how the regulatory landscape is expanding. Prepare an archive strategy that will be viable for the long term Enterprises with complex regulatory environments or negotiations over intellectual properties should have a robust plan for deletion and retention of enterprise controlled information – including communication and fileshares. Archive and retention policies that include verification through audit schedules are the key to protecting the enterprise from litigation. Clear policies on records retention and highly structured classifications allow for a tighter (and more accurate) collection process. For most organizations, social media and instant messages, just like , are a mixed bag of useful information and garbage. A long-term archive strategy and process will remove the garbage and enhance the usefulness of information. eDiscovery extends to ALL electronic media. This is legal’s domain, but IT needs to know the reality. 1.Discovery extends to all content that an enterprise generates. 2.Poor stewardship does not reduce your burden to search all potential sources. 3.Any means by which you interact with the public will be your responsibility to ensure it meets SEC, FINRA, PCI, etc. standards. 4.All documents and associated metadata are open to the discovery process. 5.Any content that may be relevant to the litigation including employee personal drives (e.g. Dropbox, Evernote) and social media can be subpoenaed. The archive strategy must account for current and future use of social media as a form of enterprise communication. Sources: Ben Blay, Cohen Highly; ECM Talk podcast;; RAND report on eDiscovery costs. “You have to bear the risk of what is posted within the context of that feed. In other words, you can’t just create the page and then step back and not monitor it.” - Ben Blay, Esq. Cohen Highley
Info-Tech Research Group10 Focus on the growth of fileshares; that is where the next headache is going to appear Documents will remain your largest problem Documents account for 83% of all content created by employees. Where these documents are stored is the greatest concern. Cloud-based storage tools are decreasing corporate visibility into what information is outside of the corporate walls. Where is the most growth? Social and IM are growing exponentially: o These forms of communication are rarely part of a regulator’s audits – at the moment. o Expect this to change as more enterprises adopt these technologies for internal communication. The ease and low cost of personal information sources motivate users to acquire their own solutions to create and manage their information (Box, Dropbox, Evernote). These increase enterprise risk and decrease the effectiveness of knowledge sharing initiatives.BoxDropboxEvernote Source: Info-Tech Research Group analysis of available statistics from Facebook, Twitter, Radicati group, Internet Statistics Group, and EMC is no longer the fastest-growing content type. The sprawl of fileshares is currently the biggest storage and governance concern. 20% of all corporate content is now stored on employee- owned cloud storage. Social use by employees is a concern, but still remains a low regulatory priority. Amount of content per FTE (GBs) Corporate-owned storage User-owned documents Social as a percent of total content is decreasing by 40% per year Match your strategy to your risk profile. Low risk: focus on storage wins. High risk: focus on the content that has the highest risk.
Info-Tech Research Group11 As part of your information governance strategy, you need to evaluate how IM, mobile, and social are used for corporate communication. Expand beyond to meet your current compliance demands The advent of IM and activity streams has changed the manner in which information is defined and communicated within the organization. The majority of rules and regulations do not point specifically to . Regulators are looking for the communication threads. If your organization uses IM or has corporate mobile devices, you need a governance strategy for what communications need to be recorded and which can be deleted. When it comes to IM, if IT owns the server or pays for the service, then IT needs a governance package for the information that has been transferred through that system. Communication as a record: it depends on the context. In general, regarding contracts, invoices, and personnel records should be retained in systems with records management functionality. According to United States’ Federal Rules of Civil Procedure (FRCP), the obligation to preserve communications as a record begins as soon as there is a reasonable expectation of litigation. Specific regulations have audit requirements. For example, Sarbanes-Oxley has an audit-ability of internal communications requirement. For most organizations, this will still be about , but part of good governance is reviewing and determining the risks that are on the horizon. “ In the past, there have been litigations wherein IT gets involved at the last minute, when there is legal hold or eDiscovery request, and when that happens it is very disruptive. We have to drop what we are doing, and it holds us up from other projects.” - Imran Shaikh IT Director
Info-Tech Research Group12 Info-Tech Research Group Helps IT Professionals To: Sign up for free trial membership to get practical solutions for your IT challenges Quickly get up to speed with new technologies Make the right technology purchasing decisions – fast Deliver critical IT projects, on time and within budget Manage business expectations Justify IT spending and prove the value of IT Train IT staff and effectively manage an IT department “Info-Tech helps me to be proactive instead of reactive – a cardinal rule in a stable and leading edge IT environment. - ARCS Commercial Mortgage Co., LP Toll Free: